_Data_
/*
*a*
# NdDy2Cd (GGA-PBE, optimized geometry)
# Total magnetic moment ... 0.00 μB/cell
# Calculated volume ... 119.45 Å³/cell
data_NdDy2Cd
_chemical_formula_sum 'Nd1 Dy2 Cd1'
_space_group_name_H-M_alt 'P 4/m m m'
_space_group_IT_number 123
_space_group_name_Hall '-P 4 2'
_cell_length_a 3.6532
_cell_length_b 3.6532
_cell_length_c 8.9502
_cell_angle_alpha 90.00
_cell_angle_beta 90.00
_cell_angle_gamma 90.00
loop_
_atom_site_label
_atom_site_fract_x
_atom_site_fract_y
_atom_site_fract_z
_atom_site_occupancy
Nd1 0.0000 0.0000 0.0000 1
Dy1 0.5000 0.5000 0.2801 1
Cd1 0.0000 0.0000 0.5000 1

---

*b*
# NdDy2Cd (GGA-PBE, optimized geometry)
# Total magnetic moment ... 0.02 μB/cell
# Calculated volume ... 116.91 Å³/cell
data_NdDy2Cd
_chemical_formula_sum 'Nd1 Dy2 Cd1'
_space_group_name_H-M_alt 'P 4/m m m'
_space_group_IT_number 123
_space_group_name_Hall '-P 4 2'
_cell_length_a 4.8915
_cell_length_b 4.8915
_cell_length_c 4.8863
_cell_angle_alpha 90.00
_cell_angle_beta 90.00
_cell_angle_gamma 90.00
loop_
_atom_site_label
_atom_site_fract_x
_atom_site_fract_y
_atom_site_fract_z
_atom_site_occupancy
Nd1 0.0000 0.0000 0.0000 1
Dy1 0.0000 0.5000 0.5000 1
Cd1 0.5000 0.5000 0.0000 1

---

Result of the stability comparison: *a* is the most stable of them.

---

*a*
# Nd3DyCd (GGA-PBE, optimized geometry)
# Total magnetic moment ... 0.00 μB/cell
# Calculated volume ... 336.05 Å³/cell
data_Nd3DyCd
_chemical_formula_sum 'Nd6 Dy2 Cd2'
_space_group_name_H-M_alt 'P m m n'
_space_group_IT_number 59
_cell_length_a 3.8475
_cell_length_b 10.6616
_cell_length_c 8.1923
_cell_angle_alpha 90.00
_cell_angle_beta 90.00
_cell_angle_gamma 90.00
loop_
_space_group_symop_operation_xyz
'x,y,z'
'-x,-y,-z'
'-x+1/2,-y+1/2,z'
'x+1/2,y+1/2,-z'
'x+1/2,-y,-z'
'-x+1/2,y,z'
'-x,y+1/2,-z'
'x,-y+1/2,z'
loop_
_atom_site_label
_atom_site_fract_x
_atom_site_fract_y
_atom_site_fract_z
_atom_site_occupancy
Nd1 0.2500 0.9999 0.2435 1
Nd2 0.2500 0.2500 0.5508 1
Dy1 0.2500 0.2500 0.9412 1
Cd1 0.2500 0.7500 0.7633 1

---

*b*
# Nd3DyCd (GGA-PBE, optimized geometry)
# Total magnetic moment ... 0.00 μB/cell
# Calculated volume ... 636.28 Å³/cell
data_Nd3DyCd
_chemical_formula_sum 'Nd12 Dy4 Cd4'
_space_group_name_H-M_alt 'C 1 2/m 1'
_space_group_IT_number 12
_space_group_name_Hall '-C 2y'
_cell_length_a 19.8018
_cell_length_b 3.7651
_cell_length_c 8.7807
_cell_angle_alpha 90.00
_cell_angle_beta 103.61
_cell_angle_gamma 90.00
loop_
_atom_site_label
_atom_site_fract_x
_atom_site_fract_y
_atom_site_fract_z
_atom_site_occupancy
Nd1 0.0048 0.0000 0.2846 1
Nd2 0.0983 0.5000 0.0354 1
Nd3 0.1870 0.0000 0.3770 1
Dy1 0.2053 0.0000 0.8313 1
Cd1 0.1043 0.5000 0.5822 1

---

Result of the stability comparison: *b* is the most stable of them.

---

*a*
# Nd2DyCd (GGA-PBE, optimized geometry)
# Total magnetic moment ... 0.00 μB/cell
# Calculated volume ... 486.83 Å³/cell
data_Nd2DyCd
_chemical_formula_sum 'Nd8 Dy4 Cd4'
_space_group_name_H-M_alt 'F m -3 m'
_space_group_IT_number 225
_space_group_name_Hall '-F 4 2 3'
_cell_length_a 7.8667
_cell_length_b 7.8667
_cell_length_c 7.8667
_cell_angle_alpha 90.00
_cell_angle_beta 90.00
_cell_angle_gamma 90.00
loop_
_atom_site_label
_atom_site_fract_x
_atom_site_fract_y
_atom_site_fract_z
_atom_site_occupancy
Nd1 0.2500 0.2500 0.2500 1
Dy1 0.0000 0.0000 0.0000 1
Cd1 0.0000 0.0000 0.5000 1

---

*b*
# Nd2DyCd (GGA-PBE, optimized geometry)
# Total magnetic moment ... 0.00 μB/cell
# Calculated volume ... 381.12 Å³/cell
data_Nd2DyCd
_chemical_formula_sum 'Nd6 Dy3 Cd3'
_space_group_name_H-M_alt 'R -3 m'
_space_group_IT_number 166
_space_group_name_Hall '-R 3 2"'
_cell_length_a 3.6334
_cell_length_b 3.6334
_cell_length_c 33.3346
_cell_angle_alpha 90.00
_cell_angle_beta 90.00
_cell_angle_gamma 120.00
loop_
_atom_site_label
_atom_site_fract_x
_atom_site_fract_y
_atom_site_fract_z
_atom_site_occupancy
Nd1 0.0000 0.0000 0.2456 1
Dy1 0.0000 0.0000 0.0000 1
Cd1 0.0000 0.0000 0.5000 1

---

Result of the stability comparison: *b* is the most stable of them.

---

*a*
*/

_Activity_
Could you start at the top of the data earlier on and type out each line, ending with the one that has "_cell_length_a 3.8475"?

_Worked solution_
*a*
# NdDy2Cd (GGA-PBE, optimized geometry)
# Total magnetic moment ... 0.00 μB/cell
# Calculated volume ... 119.45 Å³/cell
data_NdDy2Cd
_chemical_formula_sum 'Nd1 Dy2 Cd1'
_space_group_name_H-M_alt 'P 4/m m m'
_space_group_IT_number 123
_space_group_name_Hall '-P 4 2'
_cell_length_a 3.6532
_cell_length_b 3.6532
_cell_length_c 8.9502
_cell_angle_alpha 90.00
_cell_angle_beta 90.00
_cell_angle_gamma 90.00
loop_
_atom_site_label
_atom_site_fract_x
_atom_site_fract_y
_atom_site_fract_z
_atom_site_occupancy
Nd1 0.0000 0.0000 0.0000 1
Dy1 0.5000 0.5000 0.2801 1
Cd1 0.0000 0.0000 0.5000 1

---

*b*
# NdDy2Cd (GGA-PBE, optimized geometry)
# Total magnetic moment ... 0.02 μB/cell
# Calculated volume ... 116.91 Å³/cell
data_NdDy2Cd
_chemical_formula_sum 'Nd1 Dy2 Cd1'
_space_group_name_H-M_alt 'P 4/m m m'
_space_group_IT_number 123
_space_group_name_Hall '-P 4 2'
_cell_length_a 4.8915
_cell_length_b 4.8915
_cell_length_c 4.8863
_cell_angle_alpha 90.00
_cell_angle_beta 90.00
_cell_angle_gamma 90.00
loop_
_atom_site_label
_atom_site_fract_x
_atom_site_fract_y
_atom_site_fract_z
_atom_site_occupancy
Nd1 0.0000 0.0000 0.0000 1
Dy1 0.0000 0.5000 0.5000 1
Cd1 0.5000 0.5000 0.0000 1

---

Result of the stability comparison: *a* is the most stable of them.

---

*a*
# Nd3DyCd (GGA-PBE, optimized geometry)
# Total magnetic moment ... 0.00 μB/cell
# Calculated volume ... 336.05 Å³/cell
data_Nd3DyCd
_chemical_formula_sum 'Nd6 Dy2 Cd2'
_space_group_name_H-M_alt 'P m m n'
_space_group_IT_number 59
_cell_length_a 3.8475